To do.
Could you reproduce the rows underneath character by character?

Entries.
/*
Simulated X-ray diffraction stick pattern of Li3Mo3P4O16 for λ = 1.5418 Å (Cu Kα), from a structure optimized by DFT (PBE+U).
Neutral-atom scattering factors, no anomalous dispersion.

Most intense lines, 10 to 80 degrees two-theta, in order of rising 2θ:
5.732 Å, 15.46°, rel. 100
4.359 Å, 20.38°, rel. 60
4.239 Å, 20.96°, rel. 61
3.874 Å, 22.96°, rel. 44
3.540 Å, 25.15°, rel. 55
3.034 Å, 29.44°, rel. 57
2.866 Å, 31.21°, rel. 36
2.576 Å, 34.83°, rel. 31
2.472 Å, 36.34°, rel. 41
1.764 Å, 51.82°, rel. 27

Cell and atoms:
```
52
Lattice="7.8011 0.0000 0.0000 0.0000 8.4532 0.0000 -0.3069 0.0000 10.3040" Properties=species:S:1:pos:R:3 pbc="T T T"
Li 1.0536 0.0000 0.7799
Li 0.9405 8.3330 5.9706
Li 2.3918 6.1301 6.8534
Li 5.1023 1.9035 3.4506
Li 6.5537 4.1064 4.3333
Li 6.4405 4.2266 9.5241
Mo 1.6451 3.0362 6.4187
Mo 1.8826 2.9447 1.2941
Mo 2.7221 6.1300 1.8679
Mo 4.7720 1.9033 8.4361
Mo 5.6116 7.1714 9.0099
Mo 5.8490 7.2628 3.8853
P 0.1098 1.3393 8.8749
P 0.2987 1.3735 3.7100
P 3.2078 4.7512 9.1493
P 3.4771 4.5895 4.1156
P 4.0171 0.3629 6.1884
P 4.2864 0.5246 1.1547
P 7.1955 5.6001 6.5940
P 7.3843 5.5659 1.4291
O -0.1715 4.1492 6.1853
O 0.0697 4.1448 1.0470
O 0.5477 6.5785 6.6227
O 0.7660 6.5813 1.2717
O 0.6588 1.3887 7.4329
O 0.9882 1.2999 2.2986
O 1.2217 1.7278 9.8833
O 1.3946 1.7722 4.7464
O 2.1664 4.2853 8.1310
O 2.4045 4.3043 2.9538
O 2.8299 4.7219 0.2806
O 2.7209 4.6850 5.4425
O 2.8751 7.8550 6.2026
O 3.0724 8.0188 1.0716
O 3.5497 1.8353 6.6829
O 3.8186 1.9510 1.4808
O 3.6755 6.1776 8.8232
O 3.9444 6.0619 3.6211
O 4.4218 3.7922 9.2324
O 4.6190 3.6284 4.1014
O 4.7733 0.4583 4.8615
O 4.6643 0.4952 10.0234
O 5.0896 0.0777 7.3502
O 5.3277 0.0587 2.1730
O 6.0996 5.9988 5.5576
O 6.2725 5.9544 0.4207
O 6.5060 5.5266 8.0054
O 6.8354 5.6153 2.8711
O 6.7282 2.3546 9.0323
O 6.9465 2.3519 3.6812
O 7.4244 8.3714 9.2570
O 7.6657 8.3758 4.1187
```
*/

Reply.
Simulated X-ray diffraction stick pattern of Li3Mo3P4O16 for λ = 1.5418 Å (Cu Kα), from a structure optimized by DFT (PBE+U).
Neutral-atom scattering factors, no anomalous dispersion.

Most intense lines, 10 to 80 degrees two-theta, in order of rising 2θ:
5.732 Å, 15.46°, rel. 100
4.359 Å, 20.38°, rel. 60
4.239 Å, 20.96°, rel. 61
3.874 Å, 22.96°, rel. 44
3.540 Å, 25.15°, rel. 55
3.034 Å, 29.44°, rel. 57
2.866 Å, 31.21°, rel. 36
2.576 Å, 34.83°, rel. 31
2.472 Å, 36.34°, rel. 41
1.764 Å, 51.82°, rel. 27

Cell and atoms:
```
52
Lattice="7.8011 0.0000 0.0000 0.0000 8.4532 0.0000 -0.3069 0.0000 10.3040" Properties=species:S:1:pos:R:3 pbc="T T T"
Li 1.0536 0.0000 0.7799
Li 0.9405 8.3330 5.9706
Li 2.3918 6.1301 6.8534
Li 5.1023 1.9035 3.4506
Li 6.5537 4.1064 4.3333
Li 6.4405 4.2266 9.5241
Mo 1.6451 3.0362 6.4187
Mo 1.8826 2.9447 1.2941
Mo 2.7221 6.1300 1.8679
Mo 4.7720 1.9033 8.4361
Mo 5.6116 7.1714 9.0099
Mo 5.8490 7.2628 3.8853
P 0.1098 1.3393 8.8749
P 0.2987 1.3735 3.7100
P 3.2078 4.7512 9.1493
P 3.4771 4.5895 4.1156
P 4.0171 0.3629 6.1884
P 4.2864 0.5246 1.1547
P 7.1955 5.6001 6.5940
P 7.3843 5.5659 1.4291
O -0.1715 4.1492 6.1853
O 0.0697 4.1448 1.0470
O 0.5477 6.5785 6.6227
O 0.7660 6.5813 1.2717
O 0.6588 1.3887 7.4329
O 0.9882 1.2999 2.2986
O 1.2217 1.7278 9.8833
O 1.3946 1.7722 4.7464
O 2.1664 4.2853 8.1310
O 2.4045 4.3043 2.9538
O 2.8299 4.7219 0.2806
O 2.7209 4.6850 5.4425
O 2.8751 7.8550 6.2026
O 3.0724 8.0188 1.0716
O 3.5497 1.8353 6.6829
O 3.8186 1.9510 1.4808
O 3.6755 6.1776 8.8232
O 3.9444 6.0619 3.6211
O 4.4218 3.7922 9.2324
O 4.6190 3.6284 4.1014
O 4.7733 0.4583 4.8615
O 4.6643 0.4952 10.0234
O 5.0896 0.0777 7.3502
O 5.3277 0.0587 2.1730
O 6.0996 5.9988 5.5576
O 6.2725 5.9544 0.4207
O 6.5060 5.5266 8.0054
O 6.8354 5.6153 2.8711
O 6.7282 2.3546 9.0323
O 6.9465 2.3519 3.6812
O 7.4244 8.3714 9.2570
O 7.6657 8.3758 4.1187
```